C N H | K E Y C L U B | Updated by: District Governor Alyssa Yocom California-Nevada-Hawaii District February 2013 Presented by: CNH Presidents Prajwol Devkota, Lieutenant Governor
Training Topic: President CNH Key Club District CNH | Goal Setting Appointing and Delegating Monitoring Motivating Evaluating Presiding Problem Solving Recruiting and Retaining Reporting Succession Training General duties of a President
# Someone pasted molecular data at this point
<<<
# C28H35O2Si

The ion C28H35O2Si with charge +1 in a non-equilibrium geometry (ωB97M-V/def2-TZVPD, the Open Molecules 2025 dataset).

XYZ file:
```
66
Properties=species:S:1:pos:R:3:mulliken_charge:R:1
C -3.0592 3.5130 3.0311 -1.253
C -2.4421 2.6123 1.9035 -0.511
C -1.4464 1.5996 2.2832 0.479
C -1.2630 0.3144 1.5239 1.673
C -0.7621 -0.6007 2.7145 -1.897
O -0.7144 1.8455 3.3209 -0.784
Si 1.1709 2.7655 3.0717 0.374
C 0.9282 4.3207 4.0394 -1.070
C 2.2378 1.4840 3.9312 -0.977
C 1.4905 2.9377 1.2562 -0.721
H -3.7105 4.2074 2.4637 0.432
H -3.7108 2.9103 3.7180 0.348
H -2.2716 4.1349 3.5236 0.175
H -3.2529 2.1173 1.3130 0.470
H -1.8012 3.2573 1.2369 0.323
H -2.2528 -0.0274 1.1076 0.554
H -1.0896 -1.6333 2.5895 0.476
H 0.3417 -0.7044 2.6756 0.391
H -1.1201 -0.1930 3.6912 0.344
H 1.8405 4.9333 4.0826 0.394
H 0.1552 4.9509 3.5811 0.310
H 0.6703 4.0985 5.0844 0.340
H 3.3175 1.7082 3.8881 0.402
H 2.0033 1.4358 5.0079 0.334
H 2.1031 0.4844 3.4778 0.269
H 2.5173 3.2703 1.0797 0.567
H 1.3732 1.9896 0.7172 0.113
H 0.8486 3.7277 0.8484 0.214
C 0.2656 4.4469 -3.8540 -1.528
C 0.0862 3.2756 -2.9133 0.838
C -0.7278 3.4593 -1.7917 -0.804
C -0.9420 2.3932 -0.9181 -1.162
C -0.2655 1.1608 -0.9818 -0.773
C -0.4077 0.0889 0.1171 1.146
C -0.6354 -1.3327 -0.4139 -0.644
C -1.1478 -1.6249 -1.6792 0.023
C -1.2959 -2.9504 -2.1151 -0.974
C -0.9876 -3.9623 -1.1988 0.156
O -0.8847 -5.3093 -1.5680 -0.485
C 0.2400 -5.7930 -2.2394 0.633
C 0.6781 -7.0835 -1.8770 -0.486
C 1.8593 -7.5964 -2.4282 -0.326
C 2.5433 -6.8724 -3.4114 -0.560
C 2.0693 -5.6071 -3.7875 -0.442
C 0.9134 -5.0430 -3.2123 -0.304
C -0.6936 -3.6845 0.1512 -1.031
C -0.2991 -2.3882 0.4402 -0.463
C 0.4185 0.9723 -2.2163 -0.008
C 0.6835 2.0201 -3.1214 -1.063
H 0.3848 4.1593 -4.9184 0.387
H -0.5719 5.1779 -3.7968 0.344
H 1.1896 4.9614 -3.5256 0.286
H -1.2265 4.4274 -1.6487 0.387
H -1.7040 2.5014 -0.1566 1.075
H 0.5522 0.0469 0.7407 0.282
H -1.3773 -0.8092 -2.3678 0.613
H -1.5860 -3.1606 -3.1555 0.556
H 0.1429 -7.6262 -1.0924 0.392
H 2.2727 -8.5532 -2.0804 0.347
H 3.4543 -7.2763 -3.8719 0.358
H 2.5889 -4.9970 -4.5263 0.340
H 0.5493 -4.0366 -3.4491 0.336
H -0.6123 -4.5111 0.8784 0.421
H 0.2824 -2.2024 1.3681 0.448
H 0.7960 -0.0151 -2.5059 0.541
H 1.2930 1.8844 -4.0349 0.380
```

Strongest force on any atom ... 2.7 eV/A
E_LUMO ... -4.110 eV
Charge ... +1
Energy above the lowest of the compared OMol25 structures with the same formula, charge and spin ... 217.14 kJ/mol
E_tot ... -41568.66735 eV

# C28H36As2NiSi

A structure of composition C28H36As2NiSi in a non-equilibrium geometry (ωB97M-V/def2-TZVPD, the Open Molecules 2025 dataset).

XYZ file:
```
68
Properties=species:S:1:pos:R:3:mulliken_charge:R:1
C 1.4647 -2.1726 2.8241 -1.031
C 0.5616 -3.2131 2.3600 -0.757
C 0.8703 -3.4350 0.9573 -1.061
H -0.1083 -3.8132 2.9670 0.555
C 2.0233 -2.6522 0.6333 -0.127
C 2.3737 -1.8713 1.7627 -0.413
H 3.2358 -1.2147 1.8362 0.530
H 1.5368 -1.7959 3.8393 0.613
H 0.3996 -4.1814 0.3180 0.537
H 2.5749 -2.6954 -0.3032 0.782
>>>
Training Topic: President CNH Key Club District CNH | Create ing group for the board and the members Google Groups & Reflectors Inform members about upcoming events Communicate with Lt. Governor Communicate with Faculty and Kiwanis Advisors Communication is the KEY
Training Topic: President CNH Key Club District CNH | MEMBERS Greet the members at the door. Acknowledge everyone. If there is any trouble, be sure to address it. BOARD OFFICERS Many board officers complain, “I wasn’t given any work to do.” Avoid this by assigning tasks to be completed to each officer. Delegation will make your job easier ADVISORS Advisors have the experience you need. Keep them informed and be willing to listen to their advice. LIEUTENANT GOVERNOR Your Lt. Governor has valuable information about district events and opportunities and is there to SERVE YOU! EXECUTIVES Have questions or just need someone to talk to? Contact an executive officer: we are always here to help!
Training Topic: President CNH Key Club District CNH | Serve as the chief executive officer Call and preside over board meetings Delegate and assign tasks to the officers and members Task Coordinators & Event Coordinators Ensure that tasks are completed MRF, dues, etc. Hold elections prior to DCON and submit a new board roster to your Lt. Governor SERVE the members! Action
Training Topic: President CNH Key Club District CNH | Represent the club at Kiwanis meetings Represent the club at Division Council Meetings (DCMs) Attend service projects and club/division events Fall Rally, District Convention, International Convention Attend
Training Topic: President CNH Key Club District CNH | Host weekly Key Club meetings open to all members Discuss upcoming and past events Answer member questions Post agendas and minutes so all are informed Invite members and other officers to present during meetings Host Meetings
Training Topic: President CNH Key Club District CNH | Monitor all other officer work to ensure that it is completed on time Have exceptional knowledge of Key Club on the District and International level Educate the new members Ask for assistance when you need it Help transition the new president Assist and Ask
Training Topic: President CNH Key Club District CNH | SERVICE HOURS: Our club will achieve __ service hours per member. MEMBERSHIP: Our club will retain our current membership and raise it by __ members. FUNDRAISING: Our club will contribute $__ to PTP and $__ to the Eliminate Project *when creating goals, include your officer board in the discussion. Goal Setting
Training Topic: President CNH Key Club District CNH | VICE PRESIDENT: your sidekick, best friend forever, assistant, life save, and so much more. SECRETARY: your aid, your minute-man, your reporter TREASURER: your money-man, dues payer, and fundraising brainstormer EDITOR: your tech geek/publicist, the communicator CLASS REPRESENTATIVES: your advertisers The Board YOU SERVE
Training Topic: President CNH Key Club District CNH | Duty: preside over board meetings At least one each month Discuss upcoming projects, finances, goals, progress, etc. Keep all officers involved with discussion Remember, you are a team!
Training Topic: President CNH Key Club District CNH | Know the members in the club BEE available BEE thankful Ask for ideas/input Take surveys Keep them informed Remember, they are your OHANA The Members YOU SERVE
Training Topic: President CNH Key Club District CNH | Delegate tasks – lighten your work load and help others grow! Ask for help Brainstorm ideas with others Monitor what you are posting online Dress and act professionally General Tips
Training Topic: President CNH Key Club District CNH | Get to know each other Lighten the mood Energize the crowd! Rock Paper Scissors Cheer Song Circle Love Taps More ideas on the cyberkey! Power of Ice Breakers
Training Topic: President CNH Key Club District CNH | Invest in a planner! Adherence to deadlines is a high priority Your work effects others The Importance of Deadlines
Training Topic: President CNH Key Club District CNH | Meetings Music Food Ice Breakers Events Big events or long term projects Do projects the members want! Problem Solving: No One Shows Up
Training Topic: President CNH Key Club District CNH | Talk to your Kiwanis/Faculty Advisor Address the problem head on and in a timely manner Always refer to your club’s constitution and bylaws Problem Solving: Drama
Training Topic: President CNH Key Club District CNH | Presidents and Vice Presidents Manual CNH CyberKey (cnhkeyclub.org) Key Club International (keyclub.org) Presidents & Vice Presidents Google Reflector Kiwanis and Faculty Advisor Lt. Governor Executive Officers Resources
Training Topic: President CNH Key Club District CNH | Questions? Comments? Concerns? Thank you & good luck!